
starting items
Early (Regen at Lotus Pool)

Core (Required, in order)
Situation (only if needed)

Extension (choice, Any order)
Luxury (Late-Game optional)

team betboom




Ion Shell




Wall of Replica


Talent Tree


+{s:value}% Wall of Replica Illusion Damage

+{s:bonus_radius} Ion Shell Radius

+{s:value} Vacuum AoE

Ion Shell Provides +{s:bonus_bonus_health} Max Health

-{s:value}s Wall of Replica Cooldown

+{s:bonus_damage_per_second} Ion Shell Damage

{s:bonus_AbilityCharges} Ion Shell Charges

{s:value} AoE Surge


This is your initiation: 1. Use Surge if necessary for positioning for your initiation 2. Use Vacuum to target as many enemies as possible to pull towards your allies 3. Use Wall of Replica where foes are pulled into with Vacuum This can also be good to push enemies onto cliffs or to pull them towards an ally with Ion Shell.
Ion Shell is how you control the lane, farm, team-fight. Use Ion Shell on yourself AND/OR: 1. Melee creeps not being targeted so the Ion Shell lasts the longest 2. Enemy melee creeps if your units are being targeted (ranged enemy heroes for example) 3. Invisible heroes to secretly kill enemies 4. Illusions created from Wall of Replica 5. Jungle camps that youve been stacking for increased gold 6. Yourself if you have the items to sustain in lane and while jungling
An early point in Surge can be great as a means of an escape from ganks or to outlast stun durations to then escape.
This is your follow-up initiation. When you trap enemies in this wall, be sure to also control their illusions to target them as they may be auto-attacking. The damage that these illusions do are incredible and should be used appropriately combined with Ion Shell if no other ally target is available. YOU VACUUM INTO WALL OF REPLICA, NOT THE OTHER WAY AROUND.
Normal Punch is a great initiating ability for ganks to save your Vacuum for team-fights or as a follow-up after stunning the enemy to extend the disable duration. To add, Normal Punch is great after initiating with your combo to disable the enemy carry routinely. When Punch is on cooldown and its a heavy fight, pull out and reposition before using Surge and Blink to re-initiate again and Normal Punch your target.


starting items

Iron Branch can be placed on the ground to then be consumed by on your tangos for additional healing. We pick up extra Iron Branches because Dark Seer is a universal attribute hero, so he gains good attack damage from stats, helping him last-hit.

Early (Regen at Lotus Pool)

An early Null Talisman provides just enough last-hitting power for you to last-hit comfortably while also giving you some breathing room in mana-pool and regen to use your spells consistently to last-hit the ranged creep, harass the enemy or alleviate dependency on Bottle or Soul Ring.
An early Ring of Basilius relives mana management on your side but can also provide additional mana for your teammates if you have an especially aggressive lane with great early-game abilities.
Arcane Boots is most importantly used to give you the necessary mana to heavy use your spells and abilities. You should think about picking up Ring of Basi or Boots of Speed first depending on if you need movement in the early-game to harass or engage or your team relies on the mana regen from Ring of Basi to do more spells throughout.
Opt for Magic Stick early if the enemy spam a lot of spells or you’ll be in the lane significantly. Magic Wand can be bought as early as before Boots of Speed or as late as after your core Boots upgrade depending on how the enemy and their spell usage. Magic Wand can also be bought to make room for other items due to limited space.

Core (Required, in order)

Since you can farm fairly fast and Dark Seer doesnt need any items, you are ideal to pick up Mekansm, especially when you will be in the fight initiating.
If you can pull it off, open your combination with Blink Dagger: 1. Blink Dagger into a fight 2. Cast Vaccuum that snags all enemies nearby 3. Use Wall of Replica to where they will land to create an array of illusions 4. Cast Ion Shell and Surge where necessary (allies, illusions, etc.)
Guardian Greaves helps purge some disables that prevent you from pulling off your combo. To add, Guardian Greaves takes advantage of Dark Seers constant placement in fights to maximize its reach to heal and support all allies. Consider delaying buying Greaves as Dark Seer is reliant on Arcane Boots for mana throughout the whole game, cannot do that with Greaves.
Aghs Scepter permits you to start ganking regularly in combination with your new ability: Normal Punch. With Normal Punch, ganking enemies with your Surge as an initiation tool (with or without Blink Dagger) becomes incredibly easy to secure the kill.

Situation (only if needed)

Heavens Halberd provides more survivability through evasion. To add, it also increases your life-steal/regeneration, reduces stuns and can disable foes.
The value of Lotus Orb is both its stats in mana and armor but also the ability to dispel slows and silences that would be keeping you down. Furthermore, the ability to cast back big nuking abilities to your enemies has tremendous value, especially against stuns or ultimate damaging abilities. Lastly for Dark Seer, the armor is especially needed.
Kaya and Sange provide additional mana regen and status resistance to permit Dark Seer from being in fights, alive and incredibly hard to pin down. Late-game, if BKB is insufficient or you find yourself low on mana constantly, this can be a good mid to late-game item.

Extension (choice, Any order)

Aghs Shard is a great follow-up and additional damage tool in combination with Surge and your initiation. With Aghs Shard, fleeing is all the more easier and chasing also becomes a great success with the damage and slow that comes from your Surge. You also use this ability to farm jungle and creep waves in the lane as the damage lingers while you move on to more farming locations, thus saving time and increasing your rate of farmed gold.
Black King Bar not only ensures you land your ganking abilities but also that you are not interrupted in your follow-through abilities like Wall of Replica or a follow-up Surge. Black King Bar helps Dark Seer stay in fights, nail down enemies with Ion Shell and avoid any disables.
Pipe of Insight provides your team with better sustainability against tough magic casters and carries that can wipe your team up incredibly fast if theyre frail to magic types.
For heroes who are dependent on their abilities to engage fights, Octarine Core is a great assistance, especially if you naturally build into it by having its components created earlier in the game.
Shivas Guard has great stats for damage for a universal attribute like Dark Seer but more importantly, comboes well with your initiation: When jumping into a fight to use your Vacuum/Wall of Replica combo, follow it up with Shivas Guard to slow enemies, make them take more damage from your illusions and Ion Shell damaging effects. The armor is especially appreciated for Dark Seer who tends to be a bit weak to physical attacks.

Luxury (Late-Game optional)

Refresher Orb makes natural sense for Dark Seer because it means you can have double the Wall of Replica up, stack more Ion Shells to punish enemies in fights as well as further displace them with back-to-back Vacuums. Be wary about having enough mana to pull off your combo twice, you might need more int-based items to increase your mana-pool.
Late in the game, Scythe of Vyse solves all your mana issues but more importantly guarantees to lock enemies down before they can even pop BKB. Its a great initiating tool when you know the enemy relies on BKB to safely output their damage.

• Someone pasted data records at this point:
<<<
Record 1
Material: Sr2NiMoO6
Method: DFT, PBE+U
State: optimized geometry

Output
* offset from the most stable computed form: 11 meV/atom
* uncorrected energy: -64.53 eV per cell
* total moment: 2.0 μB/cell

Cell and atoms, written as POSCAR:
```
Sr2NiMoO6
1.0
-4.681 1.758 2.615
-3.545 3.519 -2.624
-5.050 -1.842 -1.714
O Mo Sr Ni
6 1 2 1
Direct
0.743 0.743 0.257
0.257 0.743 0.743
0.743 0.257 0.257
0.743 0.257 0.743
0.257 0.743 0.257
0.257 0.257 0.743
0.500 0.500 0.500
0.250 0.250 0.250
0.750 0.750 0.750
0.000 0.000 0.000
```

***

Record 2
Material: Sr2NiMoO6
Method: DFT, PBE+U
State: optimized geometry

Output
* offset from the most stable computed form: 0 meV/atom
* uncorrected energy: -129.27 eV per cell
* total moment: 0.0 μB/cell

Cell and atoms, written as POSCAR:
```
Sr2NiMoO6
1.0
4.861 0.000 -2.805
-1.595 4.617 2.851
6.504 -4.550 5.656
Sr O Mo Ni
4 12 2 2
Direct
0.375 0.625 0.875
0.125 0.875 0.625
0.875 0.125 0.375
0.625 0.375 0.125
0.658 0.859 0.141
0.121 0.363 0.121
0.682 0.400 0.600
0.879 0.637 0.879
0.158 0.359 0.641
0.342 0.141 0.859
0.379 0.137 0.379
0.318 0.600 0.400
0.842 0.641 0.359
0.818 0.100 0.900
0.621 0.863 0.621
0.182 0.900 0.100
0.000 0.000 0.000
0.500 0.500 0.500
0.250 0.750 0.250
0.750 0.250 0.750
```

***

Record 3
Material: Ni3Te2MoO10
Method: DFT, PBE+U
State: optimized geometry

Output
* uncorrected energy: -364.28 eV per cell
* total moment: 24.0 μB/cell

Cell and atoms, written as POSCAR:
```
Ni3Te2MoO10
1.0
5.021 0.000 0.000
0.000 10.335 0.000
0.000 0.000 17.946
Ni Te O Mo
12 8 40 4
Direct
0.297 0.783 0.566
0.752 0.536 0.271
0.797 0.717 0.434
0.252 0.964 0.729
0.248 0.036 0.229
0.749 0.111 0.783
0.203 0.217 0.066
0.748 0.464 0.771
0.251 0.611 0.717
0.751 0.889 0.283
0.703 0.283 0.934
0.249 0.389 0.217
0.306 0.964 0.416
0.692 0.781 0.815
0.194 0.036 0.916
0.694 0.464 0.084
0.192 0.719 0.185
0.308 0.281 0.685
0.806 0.536 0.584
0.808 0.219 0.315
0.573 0.848 0.381
0.920 0.477 0.170
0.922 0.940 0.181
0.422 0.578 0.209
0.073 0.652 0.619
0.084 0.917 0.627
0.584 0.583 0.373
0.073 0.145 0.715
0.422 0.560 0.819
0.114 0.650 0.950
0.902 0.339 0.030
0.573 0.355 0.285
0.402 0.161 0.970
0.614 0.850 0.050
0.886 0.150 0.550
0.047 0.211 0.231
0.078 0.440 0.319
0.927 0.645 0.785
0.916 0.417 0.873
0.578 0.078 0.291
0.070 0.577 0.456
0.427 0.348 0.119
0.580 0.523 0.670
0.078 0.422 0.709
0.386 0.350 0.450
0.598 0.661 0.530
0.420 0.023 0.830
0.453 0.789 0.731
0.547 0.289 0.769
0.427 0.855 0.215
0.953 0.711 0.269
0.922 0.922 0.791
0.570 0.923 0.544
0.927 0.152 0.881
0.430 0.423 0.956
0.080 0.977 0.330
0.098 0.839 0.470
0.416 0.083 0.127
0.578 0.060 0.681
0.930 0.077 0.044
0.794 0.015 0.601
0.206 0.515 0.899
0.706 0.985 0.101
0.294 0.485 0.399
```

***

Record 4
Material: Ni3TeMo6O42
Method: DFT, PBE+U
State: optimized geometry

Output
* uncorrected energy: -518.49 eV per cell
* total moment: 1.0 μB/cell

Cell and atoms, written as POSCAR:
```
Ni3TeMo6O42
1.0
7.644 -8.858 0.000
7.644 8.858 0.000
-2.621 0.000 11.403
Te O Mo Ni
2 84 12 6
>>>

Other Items

Soul Ring lets you spam your Ion Shell without being directly put in danger and amass the gold you need. Cast it on an enemy creep so your enemies cant kill the unit with the damage. Cast it also on your melee carry or invis units to deal damage during fights.
Force Staff is useful for a Dark Seer who, after intiaiting, needs to get out of the way and wasted his Surge on his teammates.
Consider Linken's Sphere if specific ultimate, target abilities like stuns and silences are keeping you down. This should be seen different as Black King Bar because it will waste ultimate abilities on you like Doom's Doom or Necrophos' Reaper Scythe from completely killing/disabling you.
Use Helm of the Dominator to follow-up with your vaccuum to be able to stun your foes. Additionally, you can use it to push waves, stack jungle camps and more. Attach Ion Shell to that creep to haste farm other areas.
Since you are seldom to be taking damage, support your teammates by providing them with bonus defense and attack speed or diminish a targeted foe with Solar Crest.
Crimson Guard is recommended against high-input and illusion-base or unit-related damage heroes, like Lycan or Broodmother, to mitigate their physical output against your team that needs, but cannot focus on, sustainability. Crimson Guard scales with your strength, so it is especially valuable with heroes who have high strength gain or are building strength-base items.
Rely on your position 4 to refill your Bottle whenever they TP back to your tower after roaming/ganking. Just transfer the item to them immediately when they teleport in to have it auto-refilled. Pick up Bounty Runes to refill your bottle as well.
Aeon Disk helps you get out of a jam where you are constantly being chain-stunned or destroyed by abilities like Faceless Voids ultimate or PAs massive critical strikes.
The extra Salve is to help alleviate the Soul Ring cost since you need survivability to spam for mana to cast Ion Shell
Vanguard permits Dark Seer to survive in the lane to last-hit and combines well with Ion Shell casted on himself to enhance that last-hitting likelihood. This item also helps Dark Seer trade hits against foes in lane or even dive tower if going for a kill with Surge.
Early on, Veil of Discord is used to help sustain against harassment in the lane through the Helm of the Iron Will armor and health regeneration. With Veil of Discord, you can farm creeps very quickly when activating Veil so units take more damage from your Iron Shell.